What is needed: type out all of the data underneath without additions.

~~~
# 1
The following is a quantum chemistry calculation of a cluster of 2 separate species, C3H12OSi2 in total, from OMol25.

The calculation puts the HOMO-LUMO gap at 9.45 eV. The SMILES is CC[SiH2]C.O=[SiH2]. The value obtained for the energy relative to the best compared isomer or geometry (same formula, charge and spin) is 65.30 kcal/mol.

Geometry as ORCA input:
```
! RIJCOSX wB97M-V def2-TZVPD def2/J DEFGRID3
* xyz 0 1
C 0.35759 1.61925 1.77852
C 0.50316 0.87607 0.46197
Si -1.22301 0.55729 -0.27794
C -0.79972 0.00300 -2.04302
H 1.31465 2.05536 2.06554
H -0.33792 2.43444 1.56026
H -0.00674 1.08233 2.70618
H 1.00403 -0.11342 0.49040
H 1.15800 1.55507 -0.19828
H -2.01977 1.90736 -0.38491
H -2.16291 -0.53926 0.28333
H 0.14610 -0.51919 -2.03052
H -1.57048 -0.51309 -2.51864
H -0.57469 1.06122 -2.59346
O 0.18305 -2.44848 1.01754
Si -1.20761 -3.01076 1.05859
H -1.86502 -4.19992 0.29588
H -2.48497 -2.43248 1.56580
*
```

***

# 2
The following is a quantum chemistry calculation of a cluster of 2 separate species, H2NO3S2 in total, from OMol25.

The calculation puts the HOMO-LUMO gap at 6.29 eV. The value obtained for the energy relative to the best compared isomer or geometry (same formula, charge and spin) is 46.84 kcal/mol.

Geometry as ORCA input:
```
! RIJCOSX wB97M-V def2-TZVPD def2/J DEFGRID3
* xyz -1 1
N 2.43588 1.17051 1.72628
O -0.27464 -1.63045 -1.13182
O -2.03512 -1.65121 0.65531
O -1.89599 0.08934 -1.34889
S 1.78084 0.27992 0.63909
S -1.09171 -0.87462 -0.18370
H 2.23801 2.10306 1.46874
H -1.15726 0.51345 -1.82503
*
```

***

# 3
The following is a quantum chemistry calculation of the molecule C3H5N3OS, from OMol25.

The calculation puts the HOMO-LUMO gap (spin up / spin down) at 6.84 / 7.63 eV. The value obtained for the energy relative to the best compared isomer or geometry (same formula, charge and spin) is 117.76 kcal/mol.

Geometry as ORCA input:
```
! RIJCOSX wB97M-V def2-TZVPD def2/J DEFGRID3
* xyz 0 1
C -1.57211 0.12455 0.76132
C -1.37570 -0.93235 -0.07387
C -0.26145 0.97464 0.67143
N -0.24742 -0.82404 -0.87731
N 0.40675 0.24588 -0.54760
N 2.47752 -0.51767 -2.33629
O 0.46316 1.21460 1.74977
S 2.07379 0.43512 -1.18095
H -2.27091 0.19554 1.62658
H -1.88661 -1.81104 -0.12559
H -0.50596 2.00866 0.21025
H 0.41671 0.40253 2.25665
H 2.28222 -1.51643 -2.13438
*
```

***

# 4
The following is a quantum chemistry calculation of a structure of composition C5H12O3Rh, from OMol25.

The calculation puts the HOMO-LUMO gap (spin up / spin down) at 8.01 / 6.29 eV. The value obtained for the energy relative to the best compared isomer or geometry (same formula, charge and spin) is 11.83 kcal/mol.

Geometry as ORCA input:
```
! RIJCOSX wB97M-V def2-TZVPD def2/J DEFGRID3
* xyz 2 6
C 1.52224 -2.64393 -0.31520
C 1.53511 -1.15704 -0.53222
O 2.29686 -0.47750 0.47062
Rh 4.10042 0.19166 0.42368
H 1.83783 -2.88653 0.70859
H 2.19978 -3.12804 -1.02872
H 0.50316 -3.01853 -0.46861
H 1.97494 -0.84626 -1.49223
O 0.19017 -0.62013 -0.33169
H 1.56794 -0.08917 1.09728
C -3.08085 1.39116 1.03992
O -2.11620 0.66971 0.31602
C -0.99393 1.43879 -0.02952
C -0.07576 0.64322 -0.92103
H -3.90219 0.70551 1.27819
H -2.65978 1.79003 1.97881
H -3.47635 2.23400 0.44667
H -0.44902 1.75954 0.87751
H -1.30303 2.34983 -0.57444
H 0.87254 1.19241 -1.03483
H -0.54389 0.50126 -1.90881
*
```

***

# 5
The following is a quantum chemistry calculation of a structure of composition C3H7NS3, from OMol25.

The calculation puts the HOMO-LUMO gap at 7.06 eV. The value obtained for the energy relative to the best compared isomer or geometry (same formula, charge and spin) is 72.72 kcal/mol.

Geometry as ORCA input:
```
! RIJCOSX wB97M-V def2-TZVPD def2/J DEFGRID3
* xyz 0 1
C 0.89101 0.94353 -1.84476
C 1.55830 -1.28120 0.68274
C -2.26564 0.43409 1.01459
N 0.07068 0.27936 -0.98164
S 2.19055 0.43158 -2.60318
S 0.07897 -1.26829 -0.46610
S -1.40644 1.69271 0.03367
H 0.60849 2.06990 -1.92323
H 1.38040 -0.57587 1.45093
H 2.56155 -1.19635 0.10448
H 1.72180 -2.35752 1.14043
~~~

# 1
The following is a quantum chemistry calculation of a cluster of 2 separate species, C3H12OSi2 in total, from OMol25.

The calculation puts the HOMO-LUMO gap at 9.45 eV. The SMILES is CC[SiH2]C.O=[SiH2]. The value obtained for the energy relative to the best compared isomer or geometry (same formula, charge and spin) is 65.30 kcal/mol.

Geometry as ORCA input:
```
! RIJCOSX wB97M-V def2-TZVPD def2/J DEFGRID3
* xyz 0 1
C 0.35759 1.61925 1.77852
C 0.50316 0.87607 0.46197
Si -1.22301 0.55729 -0.27794
C -0.79972 0.00300 -2.04302
H 1.31465 2.05536 2.06554
H -0.33792 2.43444 1.56026
H -0.00674 1.08233 2.70618
H 1.00403 -0.11342 0.49040
H 1.15800 1.55507 -0.19828
H -2.01977 1.90736 -0.38491
H -2.16291 -0.53926 0.28333
H 0.14610 -0.51919 -2.03052
H -1.57048 -0.51309 -2.51864
H -0.57469 1.06122 -2.59346
O 0.18305 -2.44848 1.01754
Si -1.20761 -3.01076 1.05859
H -1.86502 -4.19992 0.29588
H -2.48497 -2.43248 1.56580
*
```

***

# 2
The following is a quantum chemistry calculation of a cluster of 2 separate species, H2NO3S2 in total, from OMol25.

The calculation puts the HOMO-LUMO gap at 6.29 eV. The value obtained for the energy relative to the best compared isomer or geometry (same formula, charge and spin) is 46.84 kcal/mol.

Geometry as ORCA input:
```
! RIJCOSX wB97M-V def2-TZVPD def2/J DEFGRID3
* xyz -1 1
N 2.43588 1.17051 1.72628
O -0.27464 -1.63045 -1.13182
O -2.03512 -1.65121 0.65531
O -1.89599 0.08934 -1.34889
S 1.78084 0.27992 0.63909
S -1.09171 -0.87462 -0.18370
H 2.23801 2.10306 1.46874
H -1.15726 0.51345 -1.82503
*
```

***

# 3
The following is a quantum chemistry calculation of the molecule C3H5N3OS, from OMol25.

The calculation puts the HOMO-LUMO gap (spin up / spin down) at 6.84 / 7.63 eV. The value obtained for the energy relative to the best compared isomer or geometry (same formula, charge and spin) is 117.76 kcal/mol.

Geometry as ORCA input:
```
! RIJCOSX wB97M-V def2-TZVPD def2/J DEFGRID3
* xyz 0 1
C -1.57211 0.12455 0.76132
C -1.37570 -0.93235 -0.07387
C -0.26145 0.97464 0.67143
N -0.24742 -0.82404 -0.87731
N 0.40675 0.24588 -0.54760
N 2.47752 -0.51767 -2.33629
O 0.46316 1.21460 1.74977
S 2.07379 0.43512 -1.18095
H -2.27091 0.19554 1.62658
H -1.88661 -1.81104 -0.12559
H -0.50596 2.00866 0.21025
H 0.41671 0.40253 2.25665
H 2.28222 -1.51643 -2.13438
*
```

***

# 4
The following is a quantum chemistry calculation of a structure of composition C5H12O3Rh, from OMol25.

The calculation puts the HOMO-LUMO gap (spin up / spin down) at 8.01 / 6.29 eV. The value obtained for the energy relative to the best compared isomer or geometry (same formula, charge and spin) is 11.83 kcal/mol.

Geometry as ORCA input:
```
! RIJCOSX wB97M-V def2-TZVPD def2/J DEFGRID3
* xyz 2 6
C 1.52224 -2.64393 -0.31520
C 1.53511 -1.15704 -0.53222
O 2.29686 -0.47750 0.47062
Rh 4.10042 0.19166 0.42368
H 1.83783 -2.88653 0.70859
H 2.19978 -3.12804 -1.02872
H 0.50316 -3.01853 -0.46861
H 1.97494 -0.84626 -1.49223
O 0.19017 -0.62013 -0.33169
H 1.56794 -0.08917 1.09728
C -3.08085 1.39116 1.03992
O -2.11620 0.66971 0.31602
C -0.99393 1.43879 -0.02952
C -0.07576 0.64322 -0.92103
H -3.90219 0.70551 1.27819
H -2.65978 1.79003 1.97881
H -3.47635 2.23400 0.44667
H -0.44902 1.75954 0.87751
H -1.30303 2.34983 -0.57444
H 0.87254 1.19241 -1.03483
H -0.54389 0.50126 -1.90881
*
```

***

# 5
The following is a quantum chemistry calculation of a structure of composition C3H7NS3, from OMol25.

The calculation puts the HOMO-LUMO gap at 7.06 eV. The value obtained for the energy relative to the best compared isomer or geometry (same formula, charge and spin) is 72.72 kcal/mol.

Geometry as ORCA input:
```
! RIJCOSX wB97M-V def2-TZVPD def2/J DEFGRID3
* xyz 0 1
C 0.89101 0.94353 -1.84476
C 1.55830 -1.28120 0.68274
C -2.26564 0.43409 1.01459
N 0.07068 0.27936 -0.98164
S 2.19055 0.43158 -2.60318
S 0.07897 -1.26829 -0.46610
S -1.40644 1.69271 0.03367
H 0.60849 2.06990 -1.92323
H 1.38040 -0.57587 1.45093
H 2.56155 -1.19635 0.10448
H 1.72180 -2.35752 1.14043